The reader should duplicate the notes below word for word.
'''
1.
The following is a simulated powder diffractogram of Rb4VSe4. It was derived from DFT lattice parameters and positions (PBE), using Cu Kα, 1.54184 Å.
Kinematic intensities with the Lorentz-polarization factor, no thermal factor.

Crystal structure
Lattice parameters (Å, degrees): 8.8530 8.8530 8.8530 125.79 125.79 80.23
Fractional coordinates of all 9 atoms:
Rb (0.0000, 0.5000, 0.5000)
Rb (0.1997, 0.1997, 0.0000)
Rb (0.5000, 0.0000, 0.5000)
Rb (0.8003, 0.8003, 0.0000)
V (0.5000, 0.5000, 0.0000)
Se (0.2277, 0.2277, 0.6593)
Se (0.4316, 0.7723, 0.0000)
Se (0.5684, 0.5684, 0.3407)
Se (0.7723, 0.4316, 0.0000)

The 8 most intense peaks (2θ = 10–80°), by angle:
2θ (°), d_spacing, Rel. int.
12.77, 6.930, 38
13.08, 6.770, 19
20.36, 4.362, 100
25.55, 3.486, 25
31.36, 2.852, 36
31.75, 2.818, 56
34.59, 2.593, 40
37.68, 2.387, 34

2.
The following is a simulated powder diffractogram of Rb3VSe3. It was derived from DFT lattice parameters and positions (PBE), using Cu Kα, 1.54184 Å.
Kinematic intensities with the Lorentz-polarization factor, no thermal factor.

Crystal structure
Lattice parameters (Å, degrees): 8.4107 13.7896 10.9880 90.00 128.29 90.00
Fractional coordinates of all 28 atoms:
Rb (0.0987, 0.1446, 0.4746)
Rb (0.0987, 0.3554, 0.9746)
Rb (0.1459, 0.0624, 0.8953)
Rb (0.1459, 0.4376, 0.3953)
Rb (0.3770, 0.6979, 0.5928)
Rb (0.3770, 0.8021, 0.0928)
Rb (0.6230, 0.1979, 0.9072)
Rb (0.6230, 0.3021, 0.4072)
Rb (0.8541, 0.5624, 0.6047)
Rb (0.8541, 0.9376, 0.1047)
Rb (0.9013, 0.6446, 0.0254)
Rb (0.9013, 0.8554, 0.5254)
V (0.4444, 0.0462, 0.3620)
V (0.4444, 0.4538, 0.8620)
V (0.5556, 0.5462, 0.1380)
V (0.5556, 0.9538, 0.6380)
Se (0.1561, 0.1529, 0.1960)
Se (0.1561, 0.3471, 0.6960)
Se (0.3530, 0.6173, 0.8793)
Se (0.3530, 0.8827, 0.3793)
Se (0.3771, 0.5373, 0.2433)
Se (0.3771, 0.9627, 0.7433)
Se (0.6229, 0.0373, 0.2567)
Se (0.6229, 0.4627, 0.7567)
Se (0.6470, 0.1173, 0.6207)
Se (0.6470, 0.3827, 0.1207)
Se (0.8439, 0.6529, 0.3040)
Se (0.8439, 0.8471, 0.8040)

The 8 most intense peaks (2θ = 10–80°), by angle:
2θ (°), d_spacing, Rel. int.
25.27, 3.524, 30
26.36, 3.382, 53
27.79, 3.210, 100
28.04, 3.182, 87
28.17, 3.167, 45
28.68, 3.113, 37
29.00, 3.079, 78
33.73, 2.657, 50


No. 1
# Pm2YF8
Calculated powder diffraction line list, Cu Kα (λ = 1.5418 Å). Input: a crystal structure in Alexandria, relaxed with GGA-PBE.
Intensities are scaled so that the largest is 100.

```
Pm2YF8
1.0
7.570 -1.872 0.000
7.570 1.872 0.000
-2.037 0.000 5.328
Pm Y F
2 1 8
direct
0.175 0.175 0.178 Pm
0.825 0.825 0.822 Pm
0.500 0.500 0.500 Y
0.042 0.042 0.288 F
0.223 0.223 0.827 F
0.324 0.324 0.540 F
0.406 0.406 0.064 F
0.594 0.594 0.936 F
0.676 0.676 0.460 F
0.777 0.777 0.173 F
0.958 0.958 0.712 F
```

Main lines, most intense first (10 to 80 degrees two-theta):
| 2θ (°) | intensity |
| --- | --- |
| 28.52 | 100 |
| 24.24 | 90 |
| 30.49 | 77 |
| 24.75 | 76 |
| 48.63 | 60 |
| 44.01 | 53 |
| 44.62 | 51 |
| 48.06 | 36 |
| 31.37 | 32 |
| 38.18 | 30 |

***

No. 2
# Li2PrAuO4
Calculated powder diffraction line list, Cu Kα (λ = 1.5418 Å). Input: a crystal structure in Alexandria, relaxed with GGA-PBE.
Intensities are scaled so that the largest is 100.

```
Li2PrAuO4
'''
1.
The following is a simulated powder diffractogram of Rb4VSe4. It was derived from DFT lattice parameters and positions (PBE), using Cu Kα, 1.54184 Å.
Kinematic intensities with the Lorentz-polarization factor, no thermal factor.

Crystal structure
Lattice parameters (Å, degrees): 8.8530 8.8530 8.8530 125.79 125.79 80.23
Fractional coordinates of all 9 atoms:
Rb (0.0000, 0.5000, 0.5000)
Rb (0.1997, 0.1997, 0.0000)
Rb (0.5000, 0.0000, 0.5000)
Rb (0.8003, 0.8003, 0.0000)
V (0.5000, 0.5000, 0.0000)
Se (0.2277, 0.2277, 0.6593)
Se (0.4316, 0.7723, 0.0000)
Se (0.5684, 0.5684, 0.3407)
Se (0.7723, 0.4316, 0.0000)

The 8 most intense peaks (2θ = 10–80°), by angle:
2θ (°), d_spacing, Rel. int.
12.77, 6.930, 38
13.08, 6.770, 19
20.36, 4.362, 100
25.55, 3.486, 25
31.36, 2.852, 36
31.75, 2.818, 56
34.59, 2.593, 40
37.68, 2.387, 34

2.
The following is a simulated powder diffractogram of Rb3VSe3. It was derived from DFT lattice parameters and positions (PBE), using Cu Kα, 1.54184 Å.
Kinematic intensities with the Lorentz-polarization factor, no thermal factor.

Crystal structure
Lattice parameters (Å, degrees): 8.4107 13.7896 10.9880 90.00 128.29 90.00
Fractional coordinates of all 28 atoms:
Rb (0.0987, 0.1446, 0.4746)
Rb (0.0987, 0.3554, 0.9746)
Rb (0.1459, 0.0624, 0.8953)
Rb (0.1459, 0.4376, 0.3953)
Rb (0.3770, 0.6979, 0.5928)
Rb (0.3770, 0.8021, 0.0928)
Rb (0.6230, 0.1979, 0.9072)
Rb (0.6230, 0.3021, 0.4072)
Rb (0.8541, 0.5624, 0.6047)
Rb (0.8541, 0.9376, 0.1047)
Rb (0.9013, 0.6446, 0.0254)
Rb (0.9013, 0.8554, 0.5254)
V (0.4444, 0.0462, 0.3620)
V (0.4444, 0.4538, 0.8620)
V (0.5556, 0.5462, 0.1380)
V (0.5556, 0.9538, 0.6380)
Se (0.1561, 0.1529, 0.1960)
Se (0.1561, 0.3471, 0.6960)
Se (0.3530, 0.6173, 0.8793)
Se (0.3530, 0.8827, 0.3793)
Se (0.3771, 0.5373, 0.2433)
Se (0.3771, 0.9627, 0.7433)
Se (0.6229, 0.0373, 0.2567)
Se (0.6229, 0.4627, 0.7567)
Se (0.6470, 0.1173, 0.6207)
Se (0.6470, 0.3827, 0.1207)
Se (0.8439, 0.6529, 0.3040)
Se (0.8439, 0.8471, 0.8040)

The 8 most intense peaks (2θ = 10–80°), by angle:
2θ (°), d_spacing, Rel. int.
25.27, 3.524, 30
26.36, 3.382, 53
27.79, 3.210, 100
28.04, 3.182, 87
28.17, 3.167, 45
28.68, 3.113, 37
29.00, 3.079, 78
33.73, 2.657, 50


No. 1
# Pm2YF8
Calculated powder diffraction line list, Cu Kα (λ = 1.5418 Å). Input: a crystal structure in Alexandria, relaxed with GGA-PBE.
Intensities are scaled so that the largest is 100.

```
Pm2YF8
1.0
7.570 -1.872 0.000
7.570 1.872 0.000
-2.037 0.000 5.328
Pm Y F
2 1 8
direct
0.175 0.175 0.178 Pm
0.825 0.825 0.822 Pm
0.500 0.500 0.500 Y
0.042 0.042 0.288 F
0.223 0.223 0.827 F
0.324 0.324 0.540 F
0.406 0.406 0.064 F
0.594 0.594 0.936 F
0.676 0.676 0.460 F
0.777 0.777 0.173 F
0.958 0.958 0.712 F
```

Main lines, most intense first (10 to 80 degrees two-theta):
| 2θ (°) | intensity |
| --- | --- |
| 28.52 | 100 |
| 24.24 | 90 |
| 30.49 | 77 |
| 24.75 | 76 |
| 48.63 | 60 |
| 44.01 | 53 |
| 44.62 | 51 |
| 48.06 | 36 |
| 31.37 | 32 |
| 38.18 | 30 |

***

No. 2
# Li2PrAuO4
Calculated powder diffraction line list, Cu Kα (λ = 1.5418 Å). Input: a crystal structure in Alexandria, relaxed with GGA-PBE.
Intensities are scaled so that the largest is 100.

```
Li2PrAuO4